
eye drops Learn more about eye drops

  • How to give the dog eye drops!

    How to give the dog eye drops!

    Common eye diseases can cause tears or excessive secretions. If left alone, these secretions will stain the hair on the dog's face. Before dropping eye drops, carefully wipe off the dirt from the corners of the dog's eyes with wet cotton. Wash the dog's eyes with warm water or veterinarian eye drops. Human eye drops should not be used. Be careful not to get cotton fibers into your eyes. Gently grasp the dog and open its eyes. In order not to frighten the dog, drop eye drops from behind its head. Let the lotion stay in the eye for a little more time after dripping.

  • Chloramphenicol eye drops skillfully treat orchid soft rot

### Crystal structures from another source follow
1.
Computed, not measured: a relaxed HgRhCl2 crystal at the PBE-GGA level of DFT.

a = 10.234 Å, b = 10.234 Å, c = 10.234 Å
α = 20.25°, β = 20.25°, γ = 20.25°
Fractional coordinates of all 4 atoms:
Hg1 0.000 0.000 0.000
Rh1 0.500 0.500 0.500
Cl1 0.122 0.122 0.122
Cl2 0.878 0.878 0.878

Computed properties:
Uncorrected energy   -3.024 eV/atom
Symmetry   R-3m
Magnetization   1.0 μB/f.u.
Energy above the most stable polymorph in this dataset   43 kJ/mol of formula units
Formation energy without anion corrections   -0.187 eV per atom

2.
Computed, not measured: a relaxed TlTe2Br2 crystal at the PBE-GGA level of DFT.

a = 8.416 Å, b = 8.416 Å, c = 5.018 Å
α = 90.00°, β = 90.00°, γ = 90.00°
Fractional coordinates of all 10 atoms:
Tl1 0.000 0.000 0.000
Tl2 0.500 0.500 0.000
Te1 0.112 0.388 0.000
Te2 0.388 0.888 0.000
Te3 0.612 0.112 0.000
Te4 0.888 0.612 0.000
Br1 0.229 0.729 0.500
Br2 0.271 0.229 0.500
Br3 0.729 0.771 0.500
Br4 0.771 0.271 0.500

Computed properties:
Uncorrected energy   -2.515 eV/atom
Symmetry   P4/mbm
Magnetization   0.0 μB/f.u.
Energy above the most stable polymorph in this dataset   33 kJ/mol of formula units
Formation energy without anion corrections   -0.116 eV per atom

----------

1.
# GdHoAgPd PBE optimized geometry
# DFT formation energy (eV/atom): -0.574
data_GdHoAgPd
_chemical_formula_sum 'Gd4 Ho4 Ag4 Pd4'
_space_group_name_H-M_alt 'F -4 3 m'
_space_group_IT_number 216
_space_group_name_Hall 'F -4 2 3'
_cell_length_a 7.161
_cell_length_b 7.161
_cell_length_c 7.161
_cell_angle_alpha 90.00
_cell_angle_beta 90.00
_cell_angle_gamma 90.00
loop_
_atom_site_label
_atom_site_fract_x
_atom_site_fract_y
_atom_site_fract_z
Gd1 0.000 0.000 0.000
Ho1 0.000 0.000 0.500
Ag1 0.250 0.250 0.250
Pd1 0.250 0.250 0.750


2.
# YEr2Tm PBE optimized geometry
# Energy relative to the lowest polymorph listed for this composition (meV per atom): 3.8
# DFT formation energy (eV/atom): 0.013
data_YEr2Tm
_chemical_formula_sum 'Y3 Er6 Tm3'
_space_group_name_H-M_alt 'R 3 m'
_space_group_IT_number 160
_space_group_name_Hall 'R 3 -2"'
_cell_length_a 3.5498
_cell_length_b 3.5498
_cell_length_c 33.9630
_cell_angle_alpha 90.00
_cell_angle_beta 90.00
_cell_angle_gamma 120.00
loop_
_atom_site_label
_atom_site_fract_x
_atom_site_fract_y
_atom_site_fract_z
Y1 0.0000 0.0000 0.0000
Er1 0.0000 0.0000 0.5823
Er2 0.0000 0.0000 0.7500
Tm1 0.0000 0.0000 0.1658


| no. | density of states at the Fermi level (states/eV/atom) |
| --- | --- |
| 1 | 0.778 |
| 2 | 1.565 |

----------

Record 1
A relaxed structure of Sr6MgGa2, computed with PBE.

Unit cell a=9.827 b=9.827 c=9.827 alpha=104.76 beta=111.00 gamma=112.76
Atoms (fractional coordinates):
Ga1 0.500 0.608 0.108
Ga2 0.500 0.392 0.892
Ga3 0.679 0.000 0.679
Ga4 0.321 0.000 0.321
Sr1 0.806 0.245 0.051
Sr2 0.679 0.013 0.334
Sr3 0.321 0.655 0.334
Sr4 0.194 0.245 0.440
Sr5 0.098 0.279 0.818
Sr6 0.902 0.721 0.182
Sr7 0.679 0.345 0.666
Sr8 0.461 0.279 0.182
Sr9 0.321 0.987 0.666
Sr10 0.806 0.755 0.560
Sr11 0.539 0.721 0.818

    Chloramphenicol eye drops skillfully treat orchid soft rot

    Chloramphenicol eye drops skillfully treat orchid soft rot.

  • How to give the chicken eyes and nose drops

    How to give the chicken eyes and nose drops

    Eye: for the chick to gently hold the chicken with the left hand, so that it does not move, take some eye bottles in the right hand, gently drop to the left and right eyes, wait for the chicken to do a blink action, and then release the liquid completely into the eyes after absorption, otherwise let go early, the liquid is only on the surface of the eyeball, did not enter the eye, the chicken is very easy to shake its head, so the liquid is thrown out, did not achieve the purpose of immunity. When an adult chicken is immunized, just open the door of the chicken cage and hold the chicken neck. (the chicken only has its head and neck outside the cage and its body is in the cage.) the method of nodding eyes is the same as that of chicks. Nasal dripping: nasal dripping is also a chicken.

  • Excision of third eyelid polyp in dogs

    Excision of third eyelid polyp in dogs

    Dog third eyelid polyp is also known as "cherry eye". Due to glandular hypertrophy and other reasons, inflammation occurs when the nictitating membrane is flipped from the inside to the outside of the eye, which increases eye secretions and presents symptoms of conjunctivitis. Hypertrophy of superficial nictitating membrane glands is common in clinic. it can occur in one or both eyes. It is a common eye disease in pet surgery. The routine treatment with eye drops, eye ointment and antibiotics often has no effect. The effect of surgical resection is satisfactory and there is no recurrence. In clinical work, surgical resection was performed in more than 20 cases of the disease.

  • Eye protection for dogs

    Eye protection for dogs

    An animal's eyes largely reflect its physical health. Check your dog's eyes frequently. When dogs are infected with certain infectious diseases such as canine distemper, it often causes inflammation and redness of the eyes, and the eyes are filled with purulent mucus secretions, even causing the dog's eyes to be unable to open. At this time, treatment and care of the eyes should be strengthened. The best way is to dip in medical chloramphenicol eye drops with cotton balls and gently wipe them outward from the inner corners of the eyes until they are cleaned around the eyes. Then drop an appropriate amount of

  • Eye protection of dogs

    Eye protection of dogs

    An animal's eyes reflect its health to a large extent. So always check your dog's eyes. When dogs are infected by certain infectious diseases such as canine distemper, they often cause inflammation, redness and swelling of the eyes, and the orbit is filled with purulent mucus secretions, even causing the dog's eyes to be unable to open, so it is necessary to strengthen eye treatment and care. The best way is to use cotton balls dipped in medical chloramphenicol eye drops, gently wipe from the inner corner of the eye, until the eyes are scrubbed clean. Then inject an appropriate amount of eye drops into the dog's eyes to eliminate inflammation. Some dog breeds such as

  • The occurrence and treatment of keratitis in pet dogs

    The occurrence and treatment of keratitis in pet dogs

    Keratitis is a general term for inflammation of corneal tissue. Corneal opacity (nebula), corneal excrescence, corneal ulcer, corneal perforation and corneal spots are characteristic of all kinds of dogs, but common in small long-haired dogs. 68 cases of keratitis diagnosed and treated since May 2005 were analyzed. Most of them were caused by trauma, foreign bodies, improper drugs and infection, and some of them were unknown. After treatment, 66 cases were cured, the cure rate was 97.06%. Corneal ulcer causes perforation to be difficult to cure. 1 case

  • Surgical treatment of eyelid ectropion in ornamental poodles

_Attached: records of crystals_
~~~
(1)
Below is a relaxed LaTb2PaP4 crystal, with properties calculated at the PBE level.

abc: 7.040 7.040 7.040
angles: 131.83 131.83 70.50
Positions (direct):
La (0.000, 0.000, 0.000)
Tb (0.500, 0.500, 0.000)
Tb (0.750, 0.250, 0.500)
Pa (0.250, 0.750, 0.500)
P (0.008, 0.508, 0.500)
P (0.255, 0.255, 0.000)
P (0.492, 0.992, 0.500)
P (0.745, 0.745, 0.000)



(2)
Below is a relaxed LiPrY2In4 crystal, with properties calculated at the PBE level.

abc: 9.353 9.353 9.353
angles: 32.65 32.65 32.65
Positions (direct):
Li (0.000, 0.000, 0.000)
Pr (0.500, 0.500, 0.500)
Y (0.254, 0.254, 0.254)
Y (0.746, 0.746, 0.746)
In (0.121, 0.121, 0.121)
In (0.372, 0.372, 0.372)
In (0.628, 0.628, 0.628)
In (0.879, 0.879, 0.879)



(3)
Below is a relaxed AsP2Cl crystal, with properties calculated at the PBE level.

abc: 4.589 4.589 4.589
angles: 60.00 60.00 60.00
Positions (direct):
As (0.000, 0.000, 0.000)
P (0.250, 0.250, 0.250)
P (0.750, 0.750, 0.750)
Cl (0.500, 0.500, 0.500)

Properties
Formation energy from raw total energies ... 2.84 eV/f.u.



(4)
Below is a relaxed TmSc2Cu3 crystal, with properties calculated at the PBE level.

abc: 3.298 3.298 10.007
angles: 90.00 90.00 90.00
Positions (direct):
Tm (0.000, 0.000, 0.000)
Sc (0.000, 0.000, 0.338)
Sc (0.000, 0.000, 0.662)
Cu (0.500, 0.500, 0.182)
Cu (0.500, 0.500, 0.500)
Cu (0.500, 0.500, 0.818)



(5)
Below is a relaxed MgGeB2 crystal, with properties calculated at the PBE level.

abc: 4.119 4.119 4.119
angles: 60.00 60.00 60.00
Positions (direct):
Mg (0.000, 0.000, 0.000)
Ge (0.500, 0.500, 0.500)
B (0.250, 0.250, 0.250)
B (0.750, 0.750, 0.750)



(6)
Below is a relaxed NpO6F2 crystal, with properties calculated at the PBE level.

abc: 5.549 5.549 8.721
angles: 117.04 117.04 51.40
Positions (direct):
Np (0.000, 0.000, 0.000)
O (0.204, 0.204, 0.094)
O (0.440, 0.440, 0.501)
O (0.488, 0.488, 0.917)
O (0.512, 0.512, 0.083)
O (0.560, 0.560, 0.499)
O (0.796, 0.796, 0.906)
F (0.028, 0.028, 0.253)
F (0.972, 0.972, 0.747)

Properties
Formation energy from raw total energies ... -13.66 eV/f.u.



(7)
Below is a relaxed Rb2TaPbBr crystal, with properties calculated at the PBE level.

abc: 7.286 7.286 4.979
angles: 90.00 90.00 90.00
Positions (direct):
Rb (0.000, 0.500, 0.000)
Rb (0.500, 0.000, 0.000)
Ta (0.000, 0.000, 0.000)
Pb (0.500, 0.500, 0.500)
Br (0.000, 0.000, 0.500)

Properties
Formation energy from raw total energies ... 4.08 eV/f.u.



(8)
Below is a relaxed TiGeAu crystal, with properties calculated at the PBE level.

abc: 4.412 4.412 2.989
angles: 90.00 90.00 120.00
Positions (direct):
Ti (0.000, 0.000, 0.000)
Ge (0.667, 0.333, 0.500)
Au (0.333, 0.667, 0.500)
~~~

    Surgical treatment of eyelid ectropion in ornamental poodles

    Poodle is a cross between Beijing Dog and Lhasa Dog, similar to Beijing Dog. Because of its small size and beautiful shape, poodle is one of the popular ornamental and playful dogs. However, in recent years, eyelid inverted eye diseases have been found in poodles (not found in other breeds of dogs in China), which not only affect beauty, but also affect the development of dogs, and can lead to blindness in serious cases. In clinical treatment, conventional therapy, such as butoxyprocaine hydrochloride eye injection and symptomatic treatment with antibiotics, can only relieve symptoms.

  • Nursing Care of healthy Dog eyes

    Nursing Care of healthy Dog eyes

    For the protection of the eye part, always pay attention to whether there is eye stool, let the dog close his eyes when there is eye droppings, and remove them with wet wipes or cotton swabs. If you have tearful eyes and may have problems such as inverted eyelashes, you have to see a doctor. If the eye bowels are different from the usual transparent or dry brown, and the conjunctiva (white part of the eye) turns red, or the cornea (black part of the eye) has white spots or damaged, you should see a doctor immediately. Short-nosed dogs are prone to protruding eyes and form nasolacrimal duct compression, resulting in the nose part of the eyes of such as Zhong, Xishi, starlings and Beijing dogs.

  • Color diagnosis and Prevention techniques of cattle and Sheep

    Color diagnosis and Prevention techniques of cattle and Sheep

    In the long-term animal husbandry and veterinary production practice, we have summed up nearly 30 years of experience and relevant reports, according to watching the color of cattle and sheep, we can diagnose the disease quite accurately, and adopt effective new technology to prevent and cure it at the same time. A good therapeutic effect can be obtained. 1 "cylinder color" diagnosis 1.1 "red eye disease" of cattle and sheep the pathogen of this disease is Haemophilus or conjunctival rickettsia, which can be infected in cattle and sheep. 1.1.1 symptoms occur simultaneously in both eyes, eyelid swelling, fear of light and tears: inflammation of conjunctiva, diffuse

  • Timely prevention and control of bovine eye disease with high temperature in summer and autumn

    Timely prevention and control of bovine eye disease with high temperature in summer and autumn

    Symptoms: conjunctival flushing, congestion, swelling, inflammation, tears, serous or dense secretions, gradually increasing in the later stage, eyelid swelling, corneal turbidity or ulcer, perforation, loss of appetite, elevated body temperature, restlessness, shaking head and wiping eyes, shyness and fear of light, serious can cause blindness on one or both sides and reduce milk yield of cows. Prevention: it is necessary to do a good job in the environmental hygiene of the barn, ensure that the barn is dry, remove dirt and deal with it properly, and do a good job of killing flies. We should also strengthen feeding management, increase nutrition, protect cow eyes and prevent injuries.

  • How much is a Xi Shi dog?

    How much is a Xi Shi dog?

    How much is a Xi Shi dog?

  • Itching and dryness of bovine eyes can lead to blindness. It is the right time to prevent and cure bovine ophthalmosis in spring.

    Itching and dryness of bovine eyes can lead to blindness. It is the right time to prevent and cure bovine ophthalmosis in spring.

    Itching and dryness of bovine eyes can lead to blindness. It is the right time to prevent and cure bovine ophthalmosis in spring.

  • Did you pay attention to the details of these swimming pools when swimming with children made a family of six sick?

    Did you pay attention to the details of these swimming pools when swimming with children made a family of six sick?

    Summer is a suitable season for playing in the water, but if you do not pay attention to self-protection in the process of playing in the water, you may get sick! A 5-year-old child in Wuhan was infected with pinkeye when he returned from swimming. Moreover, due to cross-infection, the whole family.

  • How to raise a Xishi Dog? what kind of dog food should you eat?

    How to raise a Xishi Dog? what kind of dog food should you eat?

    Xishi dog is a kind of dog originally from Xizang in China, which is distributed in many countries in the world and is a kind of dog with high breeding value. Nowadays, many people don't know how to raise a Shih Dog after buying it home. In fact, there are some of them.

    2020-11-08 Xi Shi dog how raise dog eat what dog food good
  • Canine keratitis

    Canine keratitis

    Keratitis in dogs is usually caused by trauma or foreign bodies, but can also occur in certain infectious diseases and parasitic diseases. [Diagnostic points] The main symptoms of acute keratitis are shyness, tears, pain, eyelid closure, conjunctival flushing. Trauma is caused by rough corneal surface, corneal opacity, some mild; only a translucent thin nebula, some thicker, opaque white film, so the dog blindness. Longer course of disease cases, causing corneal peripheral congestion and neoplasia

  • The cause, diagnosis and prevention of keratitis, an ophthalmological disease in dogs

    The cause, diagnosis and prevention of keratitis, an ophthalmological disease in dogs

    Keratitis in dogs is usually caused by trauma or foreign bodies. It can also occur during certain infectious and parasitic diseases. The main symptoms of acute keratitis are shyness, tears, pain, eyelid closure, conjunctival flushing. Trauma is caused by rough corneal surface, corneal opacity, some mild; only a translucent thin nebula, some thicker, opaque white film, so the dog blindness. Longer course of disease cases, causing corneal peripheral congestion and neovascularization. serious

  • What if pigeons shed tears in their eyes? Treatment of tears in pigeon eyes

    What if pigeons shed tears in their eyes? Treatment of tears in pigeon eyes

    Pigeon eye cold is an easily recurrent disease, which will affect the pigeon's eyes and breathing, so it is necessary to control the disease in time. Let's take a look at the causes and treatment of pigeon tears: the symptoms of pigeon tears show scratching.

    2020-11-08 Pigeons eyes tears how to do treatment pigeons
  • Symptoms and preventive measures of bovine pink eye disease

    Symptoms and preventive measures of bovine pink eye disease

    Symptoms and preventive measures of bovine pink eye disease

  • What if the goldfish hanging orchid drops its leaves?

    What if the goldfish hanging orchid drops its leaves?

    Goldfish hanging orchid, also known as goldfish flower, kangaroo orchid, kangaroo flower, and then look at the drum belly, and also feel quite similar to the mother kangaroo! In the middle of winter, the eyes outside the window were bleak and lonely. At this time, look at the table above, in the blue waves, a group of golden-orange little goldfish laughing and frolicking
